== Work order ==
Find "-2.424 0.393" and "0.886 -0.005" in the rows below, and echo these two lines and those between.

== Source ==
<<<
one:
49
Properties=species:S:1:pos:R:3:mulliken_charge:R:1 method="wB97M-V/def2-TZVPD" gap_ev=9.7818 smiles="CO[C@@H](c1ccccc1)c1nnc(CCC(=O)NCCC(C)C)o1" spin_multiplicity=1
C 2.112 2.373 -5.235 -0.757
O 1.195 2.135 -4.196 -0.429
C 1.621 1.129 -3.303 0.168
C 2.784 1.553 -2.424 0.126
C 3.765 0.641 -2.061 -0.324
C 4.801 1.035 -1.232 -0.659
C 4.862 2.338 -0.766 -0.367
C 3.882 3.248 -1.126 -0.692
C 2.841 2.856 -1.948 -0.080
C 0.486 0.805 -2.394 0.054
N 0.047 -0.371 -2.096 -0.901
N -0.944 -0.199 -1.194 -0.121
C -1.056 1.073 -0.983 0.698
C -2.009 1.776 -0.093 -0.493
C -2.895 0.817 0.704 -1.023
C -2.117 0.169 1.851 0.375
O -2.129 0.628 2.978 -0.678
N -1.445 -0.937 1.498 0.168
C -0.618 -1.681 2.417 -0.918
C -1.001 -3.160 2.496 -1.041
C -2.356 -3.479 3.149 0.782
C -2.482 -2.860 4.539 -1.519
C -3.542 -3.064 2.280 -1.417
O -0.166 1.772 -1.719 -0.304
H 2.266 1.469 -5.836 0.310
H 1.672 3.152 -5.855 0.284
H 3.079 2.713 -4.849 0.289
H 1.876 0.206 -3.848 0.637
H 3.711 -0.375 -2.424 0.393
H 5.562 0.323 -0.950 0.402
H 5.672 2.643 -0.121 0.395
H 3.926 4.264 -0.763 0.382
H 2.068 3.554 -2.234 0.428
H -2.629 2.428 -0.717 0.320
H -1.446 2.421 0.588 0.346
H -3.713 1.385 1.148 0.436
H -3.300 0.051 0.043 0.383
H -1.413 -1.194 0.519 0.337
H 0.428 -1.612 2.091 0.336
H -0.709 -1.200 3.391 0.417
H -0.989 -3.577 1.486 0.409
H -0.220 -3.664 3.070 0.405
H -2.390 -4.571 3.258 0.356
H -1.619 -3.110 5.153 0.340
H -3.375 -3.234 5.034 0.440
H -2.564 -1.778 4.472 0.306
H -4.461 -3.482 2.684 0.458
H -3.422 -3.426 1.261 0.356
H -3.644 -1.984 2.258 0.188

***

two:
49
Properties=species:S:1:pos:R:3:mulliken_charge:R:1 method="wB97M-V/def2-TZVPD" gap_ev=9.0454 smiles="C[C@@H]1CCCCN1CCNC(=O)CN1C(=O)COc2ccccc21" spin_multiplicity=1
C 1.225 2.000 -1.869 -1.423
C 0.735 0.739 -2.600 0.404
C 1.600 0.433 -3.829 -1.059
C 1.360 1.423 -4.962 -0.714
C -0.125 1.426 -5.299 -0.772
C -0.946 1.731 -4.051 -0.725
N -0.665 0.759 -3.010 0.219
C -1.637 0.819 -1.937 -0.672
C -1.544 -0.356 -0.959 -1.125
N -0.647 -0.091 0.143 0.059
C 0.365 -0.896 0.498 1.187
O 0.643 -1.947 -0.038 -0.700
C 1.155 -0.338 1.692 -1.954
N 0.348 -0.301 2.899 0.360
C -0.283 0.859 3.196 0.690
O -0.313 1.805 2.427 -0.690
C -0.886 0.934 4.587 -0.483
O -1.457 -0.267 5.048 -0.514
C -0.773 -1.407 4.732 0.408
C -1.051 -2.546 5.474 -0.679
C -0.428 -3.742 5.174 -0.421
C 0.467 -3.804 4.121 -0.990
C 0.742 -2.676 3.368 -0.605
C 0.137 -1.462 3.669 1.107
H 1.150 2.883 -2.497 0.387
H 2.267 1.868 -1.586 0.395
H 0.649 2.174 -0.963 0.285
H 0.850 -0.107 -1.917 0.135
H 2.651 0.433 -3.536 0.404
H 1.346 -0.569 -4.180 0.384
H 1.947 1.137 -5.837 0.357
H 1.675 2.425 -4.664 0.300
H -0.347 2.165 -6.071 0.390
H -0.411 0.441 -5.672 0.309
H -2.010 1.661 -4.296 0.477
H -0.753 2.767 -3.722 0.315
H -2.622 0.779 -2.412 0.484
H -1.590 1.764 -1.364 0.411
H -1.183 -1.249 -1.472 0.471
H -2.543 -0.560 -0.556 0.444
H -0.773 0.780 0.645 0.175
H 2.048 -0.939 1.860 0.422
H 1.449 0.693 1.472 0.429
H -1.678 1.687 4.597 0.336
H -0.085 1.262 5.272 0.230
H -1.767 -2.467 6.277 0.429
H -0.647 -4.623 5.757 0.381
H 0.949 -4.736 3.869 0.393
H 1.405 -2.764 2.524 0.349

***

It is two that is most stable; the runner-up trails by 0.0374 hartree.

***

one:
48
Properties=species:S:1:pos:R:3:mulliken_charge:R:1 method="wB97M-V/def2-TZVPD" gap_ev=9.1975 smiles="O=C(Nc1ccccc1)NC1(C(=O)NCc2ccco2)CCCCC1" spin_multiplicity=1
O -1.502 0.859 1.331 -0.784
C -1.092 -0.089 0.673 0.190
N -1.889 -0.617 -0.319 0.087
C -1.551 -1.439 -1.397 0.076
C -2.518 -2.305 -1.905 -0.571
C -2.230 -3.120 -2.983 -0.546
C -0.977 -3.084 -3.572 -0.575
C -0.021 -2.206 -3.088 -0.941
C -0.301 -1.381 -2.013 0.417
N 0.074 -0.734 0.886 -0.005
C 1.186 -0.292 1.727 0.730
C 1.782 0.971 1.055 -0.250
O 2.867 0.961 0.509 -0.732
N 0.984 2.054 1.113 -0.158
C 1.184 3.170 0.208 -1.019
C 0.162 3.115 -0.881 0.533
C -0.790 4.000 -1.290 -0.694
C -1.512 3.357 -2.327 -0.669
C -0.951 2.127 -2.462 -0.343
O 0.063 1.970 -1.594 -0.119
C 0.739 -0.019 3.170 -0.731
C 0.265 -1.301 3.852 -0.671
C 1.358 -2.362 3.844 -0.736
>>>

== Response ==
H 3.711 -0.375 -2.424 0.393
H 5.562 0.323 -0.950 0.402
H 5.672 2.643 -0.121 0.395
H 3.926 4.264 -0.763 0.382
H 2.068 3.554 -2.234 0.428
H -2.629 2.428 -0.717 0.320
H -1.446 2.421 0.588 0.346
H -3.713 1.385 1.148 0.436
H -3.300 0.051 0.043 0.383
H -1.413 -1.194 0.519 0.337
H 0.428 -1.612 2.091 0.336
H -0.709 -1.200 3.391 0.417
H -0.989 -3.577 1.486 0.409
H -0.220 -3.664 3.070 0.405
H -2.390 -4.571 3.258 0.356
H -1.619 -3.110 5.153 0.340
H -3.375 -3.234 5.034 0.440
H -2.564 -1.778 4.472 0.306
H -4.461 -3.482 2.684 0.458
H -3.422 -3.426 1.261 0.356
H -3.644 -1.984 2.258 0.188

***

two:
49
Properties=species:S:1:pos:R:3:mulliken_charge:R:1 method="wB97M-V/def2-TZVPD" gap_ev=9.0454 smiles="C[C@@H]1CCCCN1CCNC(=O)CN1C(=O)COc2ccccc21" spin_multiplicity=1
C 1.225 2.000 -1.869 -1.423
C 0.735 0.739 -2.600 0.404
C 1.600 0.433 -3.829 -1.059
C 1.360 1.423 -4.962 -0.714
C -0.125 1.426 -5.299 -0.772
C -0.946 1.731 -4.051 -0.725
N -0.665 0.759 -3.010 0.219
C -1.637 0.819 -1.937 -0.672
C -1.544 -0.356 -0.959 -1.125
N -0.647 -0.091 0.143 0.059
C 0.365 -0.896 0.498 1.187
O 0.643 -1.947 -0.038 -0.700
C 1.155 -0.338 1.692 -1.954
N 0.348 -0.301 2.899 0.360
C -0.283 0.859 3.196 0.690
O -0.313 1.805 2.427 -0.690
C -0.886 0.934 4.587 -0.483
O -1.457 -0.267 5.048 -0.514
C -0.773 -1.407 4.732 0.408
C -1.051 -2.546 5.474 -0.679
C -0.428 -3.742 5.174 -0.421
C 0.467 -3.804 4.121 -0.990
C 0.742 -2.676 3.368 -0.605
C 0.137 -1.462 3.669 1.107
H 1.150 2.883 -2.497 0.387
H 2.267 1.868 -1.586 0.395
H 0.649 2.174 -0.963 0.285
H 0.850 -0.107 -1.917 0.135
H 2.651 0.433 -3.536 0.404
H 1.346 -0.569 -4.180 0.384
H 1.947 1.137 -5.837 0.357
H 1.675 2.425 -4.664 0.300
H -0.347 2.165 -6.071 0.390
H -0.411 0.441 -5.672 0.309
H -2.010 1.661 -4.296 0.477
H -0.753 2.767 -3.722 0.315
H -2.622 0.779 -2.412 0.484
H -1.590 1.764 -1.364 0.411
H -1.183 -1.249 -1.472 0.471
H -2.543 -0.560 -0.556 0.444
H -0.773 0.780 0.645 0.175
H 2.048 -0.939 1.860 0.422
H 1.449 0.693 1.472 0.429
H -1.678 1.687 4.597 0.336
H -0.085 1.262 5.272 0.230
H -1.767 -2.467 6.277 0.429
H -0.647 -4.623 5.757 0.381
H 0.949 -4.736 3.869 0.393
H 1.405 -2.764 2.524 0.349

***

It is two that is most stable; the runner-up trails by 0.0374 hartree.

***

one:
48
Properties=species:S:1:pos:R:3:mulliken_charge:R:1 method="wB97M-V/def2-TZVPD" gap_ev=9.1975 smiles="O=C(Nc1ccccc1)NC1(C(=O)NCc2ccco2)CCCCC1" spin_multiplicity=1
O -1.502 0.859 1.331 -0.784
C -1.092 -0.089 0.673 0.190
N -1.889 -0.617 -0.319 0.087
C -1.551 -1.439 -1.397 0.076
C -2.518 -2.305 -1.905 -0.571
C -2.230 -3.120 -2.983 -0.546
C -0.977 -3.084 -3.572 -0.575
C -0.021 -2.206 -3.088 -0.941
C -0.301 -1.381 -2.013 0.417
N 0.074 -0.734 0.886 -0.005